What is needed: restate only the last part of the rows further below, starting with the line that has "PBE+U-relaxed structure".

<<<
Computed powder XRD pattern
Compound: Li5Mn5Sb2O12
Radiation: a wavelength of 1.5418 Å
Structure: a PBE+U-relaxed structure

Cell and atoms:
```
Li5Mn5Sb2O12
1.0
2.7041 -4.7785 0.0000
2.7041 4.7785 0.0000
-2.1915 0.0000 10.1734
Li Mn Sb O
5 5 2 12
direct
0.0000 0.0000 0.0000
0.0648 0.4117 0.2484
0.2655 0.2417 0.7535
0.5883 0.9352 0.7516
0.7583 0.7345 0.2465
0.3425 0.6575 0.0000
0.4045 0.0757 0.2442
0.4968 0.5032 0.5000
0.8363 0.1637 0.5000
0.9243 0.5955 0.7558
0.1668 0.8332 0.5000
0.6712 0.3288 0.0000
0.0263 0.6791 0.1181
0.1214 0.1076 0.3748
0.2105 0.5608 0.6230
0.3209 0.9737 0.8819
0.4103 0.3703 0.1139
0.4392 0.7895 0.3770
0.5421 0.2095 0.6203
0.6297 0.5897 0.8861
0.7060 0.0681 0.1161
0.7905 0.4579 0.3797
0.8924 0.8786 0.6252
0.9319 0.2940 0.8839
```

Largest 10 diffraction maxima, sorted by position, 10° ≤ 2θ ≤ 90°:
2theta	I/Imax
17.4	63
18.6	46
22.5	58
29.7	26
33.1	21
35.0	31
40.1	100
41.7	41
58.9	25
59.6	24

* * * * *

Record 1
Structure and theoretical PXRD pattern of Tm2SiPd8 (a crystal structure in Alexandria, relaxed with GGA-PBE; copper Kα).
No peak broadening, texture or thermal motion is included.

Top 10 peaks for 2θ = 15–90°, low angle first:
2θ/deg  Rel. int.
33.3  23
37.8  50
38.9  13
39.1  38
41.5  100
52.2  13
62.1  17
72.4  19
75.9  19
76.5  12

Structural model:
Unit cell a=7.886 b=7.886 c=7.886 alpha=146.03 beta=136.51 gamma=56.30
Fractional coordinates of all 11 atoms:
1 Tm 0.188 0.188 0.000
2 Tm 0.812 0.812 0.000
3 Si 0.500 0.500 0.000
4 Pd 0.115 0.370 0.745
5 Pd 0.258 0.000 0.258
6 Pd 0.315 0.815 0.500
7 Pd 0.375 0.630 0.745
8 Pd 0.625 0.370 0.255
9 Pd 0.685 0.185 0.500
10 Pd 0.742 0.000 0.742
11 Pd 0.885 0.630 0.255

Record 2
Structure and theoretical PXRD pattern of TmSi3Pd10 (a crystal structure in Alexandria, relaxed with GGA-PBE; copper Kα).
No peak broadening, texture or thermal motion is included.

Top 10 peaks for 2θ = 15–90°, low angle first:
2θ/deg  Rel. int.
32.8  55
36.0  31
38.3  100
41.8  34
43.8  50
49.5  26
62.7  17
64.7  31
70.2  14
76.3  24

Structural model:
Unit cell a=8.642 b=8.642 c=8.642 alpha=60.00 beta=60.00 gamma=60.00
Fractional coordinates of all 28 atoms:
1 Tm 0.250 0.250 0.250
2 Tm 0.750 0.750 0.750
3 Si 0.234 0.234 0.766
4 Si 0.234 0.766 0.234
5 Si 0.234 0.766 0.766
6 Si 0.766 0.234 0.234
7 Si 0.766 0.234 0.766
8 Si 0.766 0.766 0.234
9 Pd 0.117 0.117 0.117
10 Pd 0.117 0.117 0.649
11 Pd 0.117 0.649 0.117
12 Pd 0.156 0.500 0.500
13 Pd 0.156 0.500 0.844
14 Pd 0.156 0.844 0.500
15 Pd 0.351 0.883 0.883
16 Pd 0.500 0.156 0.500
17 Pd 0.500 0.156 0.844
18 Pd 0.500 0.500 0.156
19 Pd 0.500 0.500 0.844
20 Pd 0.500 0.844 0.156
21 Pd 0.500 0.844 0.500
22 Pd 0.649 0.117 0.117
23 Pd 0.844 0.156 0.500
24 Pd 0.844 0.500 0.156
25 Pd 0.844 0.500 0.500
26 Pd 0.883 0.351 0.883
27 Pd 0.883 0.883 0.351
28 Pd 0.883 0.883 0.883

Record 3
Structure and theoretical PXRD pattern of Tm3Si6Pd20 (a crystal structure in Alexandria, relaxed with GGA-PBE; copper Kα).
No peak broadening, texture or thermal motion is included.

Top 10 peaks for 2θ = 15–90°, low angle first:
2θ/deg  Rel. int.
32.6  23
35.8  38
38.1  100
41.6  34
43.6  21
44.2  9
49.2  12
64.4  30
65.9  15
75.9  22

Structural model:
Unit cell a=8.685 b=8.685 c=8.685 alpha=60.00 beta=60.00 gamma=60.00
Fractional coordinates of all 29 atoms:
1 Tm 0.000 0.000 0.000
2 Tm 0.250 0.250 0.250
3 Tm 0.750 0.750 0.750
4 Si 0.268 0.268 0.732
5 Si 0.268 0.732 0.268
6 Si 0.268 0.732 0.732
7 Si 0.732 0.268 0.268
8 Si 0.732 0.268 0.732
9 Si 0.732 0.732 0.268
10 Pd 0.000 0.000 0.345
11 Pd 0.000 0.000 0.655
12 Pd 0.000 0.345 0.000
13 Pd 0.000 0.345 0.655
14 Pd 0.000 0.655 0.000
15 Pd 0.000 0.655 0.345
16 Pd 0.148 0.617 0.617
17 Pd 0.345 0.000 0.000
18 Pd 0.345 0.000 0.655
19 Pd 0.345 0.655 0.000
20 Pd 0.383 0.383 0.383
21 Pd 0.383 0.383 0.852
22 Pd 0.383 0.852 0.383
23 Pd 0.617 0.148 0.617
24 Pd 0.617 0.617 0.148
25 Pd 0.617 0.617 0.617
26 Pd 0.655 0.000 0.000
27 Pd 0.655 0.000 0.345
28 Pd 0.655 0.345 0.000
29 Pd 0.852 0.383 0.383

Record 4
>>>

Structure: a PBE+U-relaxed structure

Cell and atoms:
```
Li5Mn5Sb2O12
1.0
2.7041 -4.7785 0.0000
2.7041 4.7785 0.0000
-2.1915 0.0000 10.1734
Li Mn Sb O
5 5 2 12
direct
0.0000 0.0000 0.0000
0.0648 0.4117 0.2484
0.2655 0.2417 0.7535
0.5883 0.9352 0.7516
0.7583 0.7345 0.2465
0.3425 0.6575 0.0000
0.4045 0.0757 0.2442
0.4968 0.5032 0.5000
0.8363 0.1637 0.5000
0.9243 0.5955 0.7558
0.1668 0.8332 0.5000
0.6712 0.3288 0.0000
0.0263 0.6791 0.1181
0.1214 0.1076 0.3748
0.2105 0.5608 0.6230
0.3209 0.9737 0.8819
0.4103 0.3703 0.1139
0.4392 0.7895 0.3770
0.5421 0.2095 0.6203
0.6297 0.5897 0.8861
0.7060 0.0681 0.1161
0.7905 0.4579 0.3797
0.8924 0.8786 0.6252
0.9319 0.2940 0.8839
```

Largest 10 diffraction maxima, sorted by position, 10° ≤ 2θ ≤ 90°:
2theta	I/Imax
17.4	63
18.6	46
22.5	58
29.7	26
33.1	21
35.0	31
40.1	100
41.7	41
58.9	25
59.6	24

* * * * *

Record 1
Structure and theoretical PXRD pattern of Tm2SiPd8 (a crystal structure in Alexandria, relaxed with GGA-PBE; copper Kα).
No peak broadening, texture or thermal motion is included.

Top 10 peaks for 2θ = 15–90°, low angle first:
2θ/deg  Rel. int.
33.3  23
37.8  50
38.9  13
39.1  38
41.5  100
52.2  13
62.1  17
72.4  19
75.9  19
76.5  12

Structural model:
Unit cell a=7.886 b=7.886 c=7.886 alpha=146.03 beta=136.51 gamma=56.30
Fractional coordinates of all 11 atoms:
1 Tm 0.188 0.188 0.000
2 Tm 0.812 0.812 0.000
3 Si 0.500 0.500 0.000
4 Pd 0.115 0.370 0.745
5 Pd 0.258 0.000 0.258
6 Pd 0.315 0.815 0.500
7 Pd 0.375 0.630 0.745
8 Pd 0.625 0.370 0.255
9 Pd 0.685 0.185 0.500
10 Pd 0.742 0.000 0.742
11 Pd 0.885 0.630 0.255

Record 2
Structure and theoretical PXRD pattern of TmSi3Pd10 (a crystal structure in Alexandria, relaxed with GGA-PBE; copper Kα).
No peak broadening, texture or thermal motion is included.

Top 10 peaks for 2θ = 15–90°, low angle first:
2θ/deg  Rel. int.
32.8  55
36.0  31
38.3  100
41.8  34
43.8  50
49.5  26
62.7  17
64.7  31
70.2  14
76.3  24

Structural model:
Unit cell a=8.642 b=8.642 c=8.642 alpha=60.00 beta=60.00 gamma=60.00
Fractional coordinates of all 28 atoms:
1 Tm 0.250 0.250 0.250
2 Tm 0.750 0.750 0.750
3 Si 0.234 0.234 0.766
4 Si 0.234 0.766 0.234
5 Si 0.234 0.766 0.766
6 Si 0.766 0.234 0.234
7 Si 0.766 0.234 0.766
8 Si 0.766 0.766 0.234
9 Pd 0.117 0.117 0.117
10 Pd 0.117 0.117 0.649
11 Pd 0.117 0.649 0.117
12 Pd 0.156 0.500 0.500
13 Pd 0.156 0.500 0.844
14 Pd 0.156 0.844 0.500
15 Pd 0.351 0.883 0.883
16 Pd 0.500 0.156 0.500
17 Pd 0.500 0.156 0.844
18 Pd 0.500 0.500 0.156
19 Pd 0.500 0.500 0.844
20 Pd 0.500 0.844 0.156
21 Pd 0.500 0.844 0.500
22 Pd 0.649 0.117 0.117
23 Pd 0.844 0.156 0.500
24 Pd 0.844 0.500 0.156
25 Pd 0.844 0.500 0.500
26 Pd 0.883 0.351 0.883
27 Pd 0.883 0.883 0.351
28 Pd 0.883 0.883 0.883

Record 3
Structure and theoretical PXRD pattern of Tm3Si6Pd20 (a crystal structure in Alexandria, relaxed with GGA-PBE; copper Kα).
No peak broadening, texture or thermal motion is included.

Top 10 peaks for 2θ = 15–90°, low angle first:
2θ/deg  Rel. int.
32.6  23
35.8  38
38.1  100
41.6  34
43.6  21
44.2  9
49.2  12
64.4  30
65.9  15
75.9  22

Structural model:
Unit cell a=8.685 b=8.685 c=8.685 alpha=60.00 beta=60.00 gamma=60.00
Fractional coordinates of all 29 atoms:
1 Tm 0.000 0.000 0.000
2 Tm 0.250 0.250 0.250
3 Tm 0.750 0.750 0.750
4 Si 0.268 0.268 0.732
5 Si 0.268 0.732 0.268
6 Si 0.268 0.732 0.732
7 Si 0.732 0.268 0.268
8 Si 0.732 0.268 0.732
9 Si 0.732 0.732 0.268
10 Pd 0.000 0.000 0.345
11 Pd 0.000 0.000 0.655
12 Pd 0.000 0.345 0.000
13 Pd 0.000 0.345 0.655
14 Pd 0.000 0.655 0.000
15 Pd 0.000 0.655 0.345
16 Pd 0.148 0.617 0.617
17 Pd 0.345 0.000 0.000
18 Pd 0.345 0.000 0.655
19 Pd 0.345 0.655 0.000
20 Pd 0.383 0.383 0.383
21 Pd 0.383 0.383 0.852
22 Pd 0.383 0.852 0.383
23 Pd 0.617 0.148 0.617
24 Pd 0.617 0.617 0.148
25 Pd 0.617 0.617 0.617
26 Pd 0.655 0.000 0.000
27 Pd 0.655 0.000 0.345
28 Pd 0.655 0.345 0.000
29 Pd 0.852 0.383 0.383

Record 4